1 John 4:1-6
Quick facts on 1 John: (Swindoll’s Living Insights New Testament Commentary vol.14 Page 10).
It was written around AD 90.
It was written either in Ephesus or Patmos by John the apostle, son of Zebedee
[These data records were left in the page by mistake]
┌──
No. 1
Material: NdYAlSi
Method: DFT, PBE
State: relaxed

Calculated values
total DFT energy (no corrections) = -5.736 eV per atom
calculated volume = 24.678 Å³ per atom
total moment = 0.00 μB/atom
energy relative to the elements, uncorrected = -637 meV/atom
ρ = 4.848 g cm⁻³

POSCAR file:
```
NdYAlSi
1.0
4.037 0.000 0.000
0.000 2.204 5.548
0.000 -2.204 5.548
Nd Y Al Si
1 1 1 1
Cartesian
0.000 0.000 0.000 Nd
2.019 0.000 3.142 Y
2.019 0.000 6.397 Al
0.000 0.000 7.971 Si
```

***

No. 2
Material: Nd3SmAl8
Method: DFT, PBE
State: relaxed

Calculated values
energy above the most stable polymorph in this dataset = 0.0 kJ/mol of atoms
total DFT energy (no corrections) = -4.582 eV per atom
DFT formation energy = -0.502 eV per atom
calculated volume = 21.541 Å³ per atom
total moment = 0.00 μB/atom
ρ = 5.132 g cm⁻³

POSCAR file:
```
Nd3SmAl8
1.0
2.836 1.637 9.280
-2.836 1.637 9.280
0.000 -3.274 9.280
Nd Sm Al
3 1 8
Cartesian
0.000 0.000 0.000 Nd
0.000 0.000 3.481 Nd
0.000 0.000 13.922 Nd
0.000 0.000 17.396 Sm
-1.419 -0.819 11.011 Al
0.000 -1.638 6.389 Al
-1.419 0.819 6.389 Al
0.000 0.000 8.697 Al
1.419 -0.819 11.011 Al
0.000 1.638 11.011 Al
1.419 0.819 6.389 Al
0.000 0.000 22.623 Al
```

***

No. 3
Material: Nd3SmAl8
Method: DFT, PBE
State: relaxed

Calculated values
energy above the most stable polymorph in this dataset = 1.1 kJ/mol of atoms
total DFT energy (no corrections) = -4.571 eV per atom
DFT formation energy = -0.490 eV per atom
calculated volume = 21.610 Å³ per atom
total moment = 0.00 μB/atom
ρ = 5.116 g cm⁻³

POSCAR file:
```
Nd3SmAl8
1.0
5.664 0.000 0.000
-2.832 4.905 0.000
0.000 0.000 9.335
Nd Sm Al
3 1 8
Cartesian
0.000 0.000 0.000 Nd
0.000 0.000 3.396 Nd
0.000 3.270 8.061 Nd
0.000 3.270 4.665 Sm
-1.377 2.475 1.703 Al
1.379 0.796 6.352 Al
1.377 2.475 1.703 Al
0.000 4.860 1.703 Al
2.832 1.635 4.034 Al
2.832 1.635 8.692 Al
4.285 0.796 6.352 Al
2.832 3.313 6.352 Al
```

***

No. 4
Material: Nd5SmAl2
Method: DFT, PBE
State: relaxed

Calculated values
energy above the most stable polymorph in this dataset = 0.0 kJ/mol of atoms
total DFT energy (no corrections) = -4.570 eV per atom
DFT formation energy = -0.065 eV per atom
calculated volume = 30.686 Å³ per atom
total moment = 0.00 μB/atom
ρ = 6.260 g cm⁻³

POSCAR file:
```
Nd5SmAl2
1.0
-1.851 5.355 6.191
1.851 -5.355 6.191
1.851 5.355 -6.191
Nd Sm Al
5 1 2
Cartesian
0.000 0.000 0.000 Nd
1.851 2.330 -1.760 Nd
1.851 2.330 1.760 Nd
0.000 3.026 4.431 Nd
0.000 3.026 7.951 Nd
0.000 5.355 0.000 Sm
0.000 0.000 3.413 Al
0.000 0.000 8.970 Al
```


[1]
Material: YHoZr2
Method: DFT, GGA-PBE
State: optimized geometry

- Energy above the most stable polymorph in this dataset: 13 meV/atom
- Total magnetic moment: 0.0000 μB per atom
- Density of states at the Fermi level: 1.334 states/eV per atom

a b c (Å): 4.7039 4.7039 4.8161
angles (deg): 90.00 90.00 90.00
Last column: nearest neighbours and their distance in Å.
Space group P4/mmm (No. 123)
Unique sites:
Y  0.0000  0.0000  0.0000 x1  4 Ho 3.33, 8 Zr 3.37
└──
[The data records stop here]
Why was it written?
So that believers would have fellowship with the Father and the Son and fellowship with one another in the Spirit resulting in a joyful clean discerning and confident life. (1: Jn. 1:3-4; 2:1; 5:13).
• Fellowship produces a joyful life (1:1-10).
• Fellowship produces a clean life (2:1-17).
• Fellowship produces a discerning life (2:18-4:6)
• Fellowship produces a confident life (4:7-521)
• Spirit = pneuma (Strongs 4151) “breath or wind”
• Test = dokimazo (Strongs 1381) to examine, check it out, is it really authentic.
• Confess or acknowledge = homologeo (Strongs 3670) factual, wholehearted, a profession of allegiance ie (Titus 1:16).
• Truth versus Error
• Children of God versus antichrist (those in the world, those from the world, see also Eph.2:1-10).
• We are victors not victims.
Quote from Francis A Schaeffer, Two Contents, Two Realities
…First it means Jesus had an eternal pre-existence as the second person of the Trinity, and then it means he came in the flesh. When a prophet or a spirit comes to you, the test of whether he should be accepted or rejected is not the experience that the spirit or prophet gives you nor is it the strength of the emotion which the spirit or the prophet gives you. Nor is it any special outward manifestation that the spirit or the prophet may give you. The basis of accepting the spirit or prophet—and the basis of Christian fellowship—is Christian doctrine. There is no other final test. Satan can counterfeit and he will.
Also Francis A. Shaeffer states in his book “The Church at the end of the 20th Century page 103,
. . . biblical Christianity must make very plain that it will deal only with hot communication. Biblical Christianity rest upon content, factual content. it does not cause people to react merely emotionally in the first-order experience.
. . . Our faith must be discriminating, discerning, distinguishing faith.
“Do not believe every spirit” and “test the spirits” (4:1).
Seven Statements: ( From Chuck Swindoll’s Living Insights New Testament Commentary page 108).
1). Never forget that we’re living in treacherous times (Matt.24:11; 2Tim.3:1-9).
2). Doctrinal discernment plays a vital role in surviving . . . and thriving (2 Tim. 3:14-16 1 Tim.4:1-16).
3). Historical roots and doctrinal truth must continue to be valued and embraced (1 Pet.1:10; Jude 1:1-25).
4). Each generation of believers has a serious responsibility to keep the faith ( 2Tim.3:10-17).
5). The church’s leaders are called to guide well the church’s ministry (Eph.4:1-16).
6). The church’s leaders are given the task of guiding the church’s people (Eph.4:1-16; Acts 20:28-32).
7). A strong and healthy church today is no guarantee of the same tomorrow (1 Tim. 4:1).